In cazul in care ati uitat care este codul de licenta al sistemului dvs Windows si doriti sa faceti o reinstalare (sau doriti sa faceti un backup al acestuia pentru orice eventualitate), nu este neaparat necesar sa apelati la aplicatii third-party pentru a afla care este acesta. Daca folositi un sistem Windows relativ recent (Windows 7, Windows 8 sau Windows 8.1) puteti sa recuperati codul de licenta al acestuia din registri de sistem folosind urmatoarele instructiuni.
Cum putem recupera codul de licenta al unui sistem de operare Windows din registri de sistem (fara a folosi aplicatii third-party)?

____________
Here is a relaxed structure of TiMn3P4O16 from Alexandria. Energies are from PBE+U.

Computed properties:
total moment: 13.0 μB per formula unit
density of states at the Fermi level: 0.0522 states/eV/atom
VASP energy: -183.357 eV/cell

a b c (Å): 6.0443 4.9714 9.9748
angles (deg): 89.95 90.00 90.00
Closest atoms and distances in Å follow each position.
Fractional positions:
O1 0.0000 0.2812 0.1307  1 P 1.55
O2 0.5000 0.1338 0.5540  1 P 1.57
O3 0.2995 0.2320 0.3335  1 P 1.55
O4 0.0000 0.2360 0.6053  1 P 1.51
O5 0.5000 0.6823 0.8564  1 P 1.54
O6 0.0000 0.6415 0.9562  1 P 1.51
O7 0.5000 0.3597 0.0515  1 P 1.52
O8 0.3058 0.2270 0.8300  1 P 1.57
O9 0.2003 0.7313 0.1768  1 P 1.57
O10 0.2044 0.7992 0.6693  1 P 1.59
O11 0.6942 0.2270 0.8300  1 P 1.57
O12 0.5000 0.7811 0.3785  1 P 1.54
O13 0.7005 0.2320 0.3335  1 P 1.55
O14 0.0000 0.8422 0.4461  1 P 1.54
O15 0.7956 0.7992 0.6693  1 P 1.59
O16 0.7997 0.7313 0.1768  1 P 1.57
Mn1 0.0000 0.0724 0.2911  4 O 1.91-2.02
Mn2 0.5000 0.5810 0.2140  4 O 1.92-1.99
Mn3 0.0000 0.4573 0.7764  4 O 2.01-2.24
P1 0.5000 0.3844 0.8996  4 O 1.52-1.57
P2 0.0000 0.5887 0.1058  4 O 1.51-1.57
P3 0.5000 0.0879 0.3988  4 O 1.54-1.57
P4 0.0000 0.9331 0.5941  4 O 1.51-1.59
Ti1 0.5000 0.9587 0.7224  6 O 1.89-2.08

~~~~~

This record from Alexandria via LeMat-Bulk describes crystalline BeZnPd2 at its relaxed geometry. The functional is PBE-GGA.

theoretical density: 8.8 Mg/m³
total energy: -17.0 eV per cell
energy relative to the lowest polymorph listed for this composition: 64 kJ/mol of formula units

Cell: 7.530 7.530 7.530 Å, 22.35 22.35 22.35°
Fractional coordinates of all 4 atoms:
Be1 0.000 0.000 0.000
Zn1 0.167 0.167 0.167
Pd1 0.405 0.405 0.405
Pd2 0.594 0.594 0.594

~~~~~

PmMnSeO2: relaxed, GGA+U.

Uncorrected energy   -7.15 eV per atom
Spin magnetization   4.00 μB per formula unit
V   17.64 A^3/atom

Geometry as CIF:
```
data_PmMnSeO2
_symmetry_space_group_name_H-M 'C m c m'
_symmetry_Int_Tables_number 63
_symmetry_space_group_name_Hall '-C 2c 2'
_cell_length_a 5.516
_cell_length_b 11.718
_cell_length_c 5.458
_cell_angle_alpha 90.00
_cell_angle_beta 90.00
_cell_angle_gamma 90.00
loop_
_atom_site_label
_atom_site_type_symbol
_atom_site_fract_x
_atom_site_fract_y
_atom_site_fract_z
_atom_site_occupancy
Pm1 Pm 0.000 0.128 0.250 1
Mn1 Mn 0.000 0.487 0.250 1
Se1 Se 0.000 0.258 0.750 1
O1 O 0.244 0.500 0.000 1
```
____________

- dati Copy/Paste urmatorului cod intr-un Notepad, apoi salvati fisierul pe desktop cu denumirea RecoverKey.ps1 (este obligatoriu ca extensia fisierului nou creat sa fie .ps1)
function Get-WindowsKey {
## function to retrieve the Windows Product Key from any PC
## by Jakob Bindslet (
param ($targets = “.”)
$hklm = 2147483650
$regPath = “Software\Microsoft\Windows NT\CurrentVersion”
$regValue = “DigitalProductId”
Foreach ($target in $targets) {
$productKey = $null
$win32os = $null
$wmi = [WMIClass]“\\$target\root\default:stdRegProv”
$data = $wmi.GetBinaryValue($hklm,$regPath,$regValue)
$binArray = ($data.uValue)[52..66]
$charsArray = “B”,”C”,”D”,”F”,”G”,”H”,”J”,”K”,”M”,”P”,”Q”,”R”,”T”,”V”,”W”,”X”,”Y”,”2″,”3″,”4″,”6″,”7″,”8″,”9″
## decrypt base24 encoded binary data
For ($i = 24; $i -ge 0; $i–) {
$k = 0
For ($j = 14; $j -ge 0; $j–) {
$k = $k * 256 -bxor $binArray[$j]
$binArray[$j] = [math]::truncate($k / 24)
$k = $k % 24
$productKey = $charsArray[$k] + $productKey
If (($i % 5 -eq 0) -and ($i -ne 0)) {
$productKey = “-” + $productKey
$win32os = Get-WmiObject Win32_OperatingSystem -computer $target
$obj = New-Object Object
$obj | Add-Member Noteproperty Computer -value $target
$obj | Add-Member Noteproperty Caption -value $win32os.Caption
$obj | Add-Member Noteproperty CSDVersion -value $win32os.CSDVersion
$obj | Add-Member Noteproperty OSArch -value $win32os.OSArchitecture
$obj | Add-Member Noteproperty BuildNumber -value $win32os.BuildNumber
$obj | Add-Member Noteproperty RegisteredTo -value $win32os.RegisteredUser
$obj | Add-Member Noteproperty ProductID -value $win32os.SerialNumber
$obj | Add-Member Noteproperty ProductKey -value $productkey

- deschideti Windows PowerShell cu privilegii de administrator (tastatati PowerShell in Start Menu sau Start Screen, dati click-dreapta pe rezultat si selectati Run as administrator)

- in fereastra deschisa tastati urmatoarea comanda
Set-ExecutionPolicy RemoteSigned
- cand este afisata intrebarea Do You want to change the execution policy? tastati Y sau dati Enter pentru confirmare
- apoi tastati comanda
Import-Module C:\Users\PC\Desktop\RecoverKey.ps1; Get-WindowsKey

In comanda de mai sus, inlocuiti C:\Users\user-name\Desktop\RecoverKey.ps1 (unde user-name este numele userului dvs) cu locatia unde ati salvat fisierul RecoverKey.ps1; de exemplu C:\Users\Stealth_2\Desktop\RecoverKey.ps1 (puteti afla foarte simplu locatia fisierului tinand apasata tasta Shift si dand click-dreapta in acelasi timp pe acesta, apoi selectand optiunea Copy as path).
Veti observa ca in Windows PowerShell vor fi afisate atat ID-ul cat si codul de licenta al sistemului dvs Windows. Succes!
STEALTH SETTINGS – How to recover your Windows Product Key without using third-party app